Have not seen it yet, but is it really any different that against Castillo? People are saying this is the blueprint. That's what they said after the Castillo fight. Ortiz and MM both used a headbutt to distract Floyd. Bet that won't lose him any rounds again and he will make a big deal before a rematch about headbutts.
You have to give credit to madaina for staying in Floyd ' s chest like no other fighter has. Also he was surprisingly effective with his jab. Plus he did a good job of getting floyd out of his rhythm.
┌──
# 1
# PmSm3Si4

An optimized crystal structure of PmSm3Si4 (PBE, the Alexandria database).

Geometry as extended XYZ:
```
8
Lattice="-3.133 2.528 -0.521 -1.744 -3.240 -5.232 -2.151 -4.409 7.356" Properties=species:S:1:pos:R:3 pbc="T T T"
Si -3.330 -1.021 -0.742
Si -3.965 -2.201 -2.650
Si -3.698 -4.100 2.344
Si -3.064 -2.920 4.253
Sm -0.872 -1.620 -2.616
Sm -5.245 -3.270 -0.139
Sm -1.784 -1.851 1.741
Pm -1.567 1.264 -0.261
```

Summary:
Its space-group type is Immm, No. 71. The calculation puts the raw formation energy at -0.531 eV per atom.

---

# 2
# Pm5SmSi4

An optimized crystal structure of Pm5SmSi4 (PBE, the Alexandria database).

Geometry as extended XYZ:
```
10
Lattice="5.080 0.000 0.000 0.000 6.442 -2.593 -2.540 -3.537 9.767" Properties=species:S:1:pos:R:3 pbc="T T T"
Si 0.000 1.652 -0.516
Si 2.540 1.253 7.690
Si 0.000 3.486 3.986
Si 2.540 -0.582 3.188
Pm 2.540 1.992 4.786
Pm 0.000 0.913 2.388
Pm 2.540 -1.315 6.122
Pm 2.540 3.221 -1.296
Pm 0.000 4.219 1.052
Sm 2.540 0.000 0.000
```

Summary:
Its space-group type is C2/m, No. 12. The calculation puts the raw formation energy at -0.502 eV per atom.

---

# 3
# Pm2Sm3Si2

An optimized crystal structure of Pm2Sm3Si2 (PBE, the Alexandria database).

Geometry as extended XYZ:
```
7
Lattice="4.143 -0.001 -0.929 -2.533 5.563 -1.596 -0.227 0.075 8.688" Properties=species:S:1:pos:R:3 pbc="T T T"
Sm 2.802 1.030 2.792
Sm 2.071 0.000 -0.465
Sm -1.419 4.607 3.371
Si -2.093 4.802 0.363
Si 3.476 0.835 5.800
Pm 0.127 2.771 0.565
Pm 1.256 2.866 5.598
```

Summary:
Its space-group type is C2/m, No. 12. The calculation puts the raw formation energy at -0.431 eV per atom.

---

# 4
# Pm4Sm3Si4

An optimized crystal structure of Pm4Sm3Si4 (PBE, the Alexandria database).

Geometry as extended XYZ:
```
11
Lattice="3.897 0.000 0.000 0.000 8.691 0.000 -1.949 -4.346 8.616" Properties=species:S:1:pos:R:3 pbc="T T T"
Sm 1.949 4.346 6.974
Sm 0.000 0.000 1.641
Sm 0.000 4.346 0.000
Pm 0.000 -1.538 5.668
Pm 0.000 1.538 5.668
Pm 1.949 5.884 2.948
Pm 1.949 2.807 2.948
Si 1.949 1.950 0.000
Si 1.949 0.000 3.896
Si 0.000 4.346 4.719
Si 1.949 6.741 0.000
```

Summary:
Its space-group type is Immm, No. 71. The calculation puts the raw formation energy at -0.497 eV per atom.

---

# 5
# Pm2SmSi2

An optimized crystal structure of Pm2SmSi2 (PBE, the Alexandria database).

Geometry as extended XYZ:
```
10
Lattice="-2.957 0.021 2.800 0.631 -5.763 0.709 7.287 6.865 7.645" Properties=species:S:1:pos:R:3 pbc="T T T"
Si 0.595 1.816 5.057
Si -1.663 -3.529 2.712
Si 4.366 -0.694 6.097
Si 6.625 4.652 8.442
Pm 3.535 2.072 5.198
Pm 6.097 1.536 7.908
Pm -1.135 -0.413 3.246
Pm 1.427 -0.950 5.956
Sm 3.606 4.382 8.218
Sm 1.355 -3.259 2.936
```

Summary:
Its space-group type is P2_1/m, No. 11. The calculation puts the energy above the lowest structure with this stoichiometry at 0.163 eV per atom. The calculation puts the raw formation energy at -0.495 eV per atom.

---

# 6
# Pm3Sm3Si4
└──
Here the text continues:
My opinion on Canelo is that he's shit. Big and strong, all the talent in the world but a worthless faggot who will never accomplish anything in boxing.
What do you mean accomplish something? The man is a former world champion. Being champ is the biggest accomplishment one can have. And he will win one again. And im not even a fan.
When there is 40 belts per division...its not that great an accomplishment...wbc gold...wbc silver...wba super dupper champion...etc...etc...
With the monster amount of talent he has, that's pathetic. He got a shot at Floyd and what did he do with it?
1. Floyd is clearly past his best. Floyd isn't immune to aging any more than anyone else is. 2. A fighter like Maidana with a relentless style like Maidana's is tailor-made to expose physical shortcomings borne of age 3. Having said that, Floyd figured out how to deal with Maidana & dominated the later rounds. A rematch would pretty much start at round 13 & barring a flukish RJJ/Tarver type KO, he would beat Maidana easily. 4. Amir Khan would give Floyd a tough fight right now. Somewhat like the Floyd of today facing the Judah of the '06 fight, except Khan is bigger and lets his hands go more.
I think Floyd is the same as Pacman in the sense that speed difference is important for him. For Pac, JMM and Morales were difficult opponents because they were able to somehow match Pac's speed (Morales with his reach, JMM with his timing), whereas bigger and stronger guys such as Margarito, Hatton or Clottey were clueless. Floyd too looked extremely good against Canelo, but Maidana's relentless attack was difficult for him at this stage of his career. I think Floyd was at his best at super-featherweight, where he was a big puncher. He has obviously lost his movement some (earlier I thought he chose to stay in pocket more but in this fight it became obvious he doesn't have it anymore) but now he is stronger than when he first came to welterweight. Thus, he will now do better against jr. middles than against welters
Maidana won the last two rounds on the judges cards. I don't think Floyd figured out shit, Maidana got tired and got away from what was working!
Floyd won the fight clearly, i think in my mind I don't like the man, I was hoping Maidana would score the upset, but Floyd won that fight
There were Similarities, but Even Then, Floyd's LEGS were his Biggest Asset...That WASN'T the Case Saturday Night... He Fought Castillo w/a Bum Shoulder, then SCHOOLED Him in the Immediate RE...REED Doesn't Think 2014 Floyd Can Reverse Fortunes vs. Maidana, the Way Lightweight Floyd Did vs. Castillo... REED:hammert:
Floyd's Body Language Immediately After the Fight Tells REED there was UNCERTAINTY in His Mind, as to Who Won... REED Didn't Score the Fight, but Had Maidana WINNING Most of the Early Rounds...Floyd Eeked Out a Round or 2 DECISIVELY, but for the Most Part, the Mid to Latter Rounds were DIFFICULT to Score...Maidana on Floyd's Chest, Beating Up his Arms, Shoulders, etc., and Floyd Landing 1-2 "Ooooh" Shots... REED Would've had NO Problem Whatsoever w/a DRAW...Maidana Didn't BEAT Floyd, Necessarily, but Floyd Damn Sure DIDN'T Beat Maidana Either... REED:hammert:
I had it 116-112... I don't score even rounds, I hate even rounds... I could conceivably give an extra point to Maidana and make it 116-113, but I don't see any way he won that fight... He just did better than expected
I was surprised as many people thought Maidana won or drew Some people I expected to insist Maidana won, mainly because they dislike Floyd for being what they consider a "nagger" ... But it hasn't been just people like that... some reasonable folks think he won/drew
i wasnt sure who won either, but that is because i didnt score the fight. When i scored the fight the next day, i had Floyd up by 3
Floyd also landed 54% of his punches and 65% of his power punches. That's pretty incredible. Compare to Cotto were money only landed 26% overall and 34% power shots. And somehow this is considered regression?
But EVEN Rounds are a PART of Boxing, Bro...If NEITHER Man Won a Particular Round, the Only FAIR Way to Score it is 10-10... wRONg KING's Chavez-Whittaker Card, 2 Rounds Apiece w/8 Even, was ABSURD...But Having Said That, it's Not Inconceivable for a Given Bout to Have 2 Even Rounds...DeLa was the King (Queen?) of Bouts w/Even, Hard to Score Rounds... If You Simply REFUSE to Score a Round EVEN, You're Then OVER Crediting 1 Guy & UNDER Crediting the Other... REED:hammert:
99.9% of rounds, SOMEBODY did better even if it is only a little bit I hate even rounds I think I've scored maybe three or four rounds even in the last 100 or so fights I've scored